Given:
┌──
Structure and theoretical powder X-ray diffraction pattern of ZrRh2 (DFT lattice parameters and positions (GGA-PBE); Cu Kα, 1.54184 Å).
Neutral-atom scattering factors, no anomalous dispersion.

Crystal structure
```
data_ZrRh2
_cell_length_a 8.8617
_cell_length_b 4.0938
_cell_length_c 5.6025
_cell_angle_alpha 90.00
_cell_angle_beta 103.74
_cell_angle_gamma 90.00
_space_group_name_H-M_alt 'C 1 2/m 1'
_space_group_IT_number 12
_space_group_name_Hall '-C 2y'
loop_
_atom_site_label
_atom_site_fract_x
_atom_site_fract_y
_atom_site_fract_z
_atom_site_occupancy
Zr1 0.1434 0.0000 0.3021 1
Rh1 0.0000 0.5000 0.0000 1
Rh2 0.0000 0.5000 0.5000 1
Rh3 0.1766 0.0000 0.8203 1
```

Most intense lines, 10 to 80 degrees two-theta, sorted by position:
hkl 3 1 0, 2θ 38.31, I = 100.0; hkl 1 1 -2, 2θ 39.05, I = 98.0; hkl 2 0 2, 2θ 43.36, I = 32.6; hkl 0 2 0, 2θ 44.25, I = 35.4; hkl 4 0 -2, 2θ 47.22, I = 27.2; hkl 2 2 2, 2θ 63.68, I = 20.2; hkl 4 2 -2, 2θ 66.70, I = 18.8; hkl 3 3 0, 2θ 77.44, I = 12.9
└──
Work order:
The reader should repeat all of the lines further up without additions.
Done:
Structure and theoretical powder X-ray diffraction pattern of ZrRh2 (DFT lattice parameters and positions (GGA-PBE); Cu Kα, 1.54184 Å).
Neutral-atom scattering factors, no anomalous dispersion.

Crystal structure
```
data_ZrRh2
_cell_length_a 8.8617
_cell_length_b 4.0938
_cell_length_c 5.6025
_cell_angle_alpha 90.00
_cell_angle_beta 103.74
_cell_angle_gamma 90.00
_space_group_name_H-M_alt 'C 1 2/m 1'
_space_group_IT_number 12
_space_group_name_Hall '-C 2y'
loop_
_atom_site_label
_atom_site_fract_x
_atom_site_fract_y
_atom_site_fract_z
_atom_site_occupancy
Zr1 0.1434 0.0000 0.3021 1
Rh1 0.0000 0.5000 0.0000 1
Rh2 0.0000 0.5000 0.5000 1
Rh3 0.1766 0.0000 0.8203 1
```

Most intense lines, 10 to 80 degrees two-theta, sorted by position:
hkl 3 1 0, 2θ 38.31, I = 100.0; hkl 1 1 -2, 2θ 39.05, I = 98.0; hkl 2 0 2, 2θ 43.36, I = 32.6; hkl 0 2 0, 2θ 44.25, I = 35.4; hkl 4 0 -2, 2θ 47.22, I = 27.2; hkl 2 2 2, 2θ 63.68, I = 20.2; hkl 4 2 -2, 2θ 66.70, I = 18.8; hkl 3 3 0, 2θ 77.44, I = 12.9